Could you find the line further below that holds "0.663 0.423", then duplicate that line and all lines after it there?
'''
1.
Crystalline Ta3Si at its relaxed geometry. Source: Materials Project, functional meta-GGA r2SCAN.

Cell: 10.174 10.174 5.196 Å, 90.00 90.00 90.00°
Fractional positions:
Ta: 0.036 0.563 0.236
Ta: 0.063 0.964 0.736
Ta: 0.104 0.231 0.024
Ta: 0.150 0.664 0.719
Ta: 0.164 0.850 0.219
Ta: 0.231 0.396 0.476
Ta: 0.269 0.104 0.476
Ta: 0.336 0.650 0.219
Ta: 0.350 0.836 0.719
Ta: 0.396 0.269 0.024
Ta: 0.437 0.536 0.736
Ta: 0.464 0.937 0.236
Ta: 0.536 0.063 0.764
Ta: 0.563 0.464 0.264
Ta: 0.604 0.731 0.976
Ta: 0.650 0.164 0.281
Ta: 0.664 0.350 0.781
Ta: 0.731 0.896 0.524
Ta: 0.769 0.604 0.524
Ta: 0.836 0.150 0.781
Ta: 0.850 0.336 0.281
Ta: 0.896 0.769 0.976
Ta: 0.937 0.036 0.264
Ta: 0.964 0.437 0.764
Si: 0.045 0.220 0.531
Si: 0.220 0.455 0.969
Si: 0.280 0.045 0.969
Si: 0.455 0.280 0.531
Si: 0.545 0.720 0.469
Si: 0.720 0.955 0.031
Si: 0.780 0.545 0.031
Si: 0.955 0.780 0.469

Calculated values
spin magnetization = 0.00 μB/atom
ρ = 14.101 g/cm³
DFT formation energy = -0.469 eV per atom
SG = P4_2/n, No. 86


2.
Crystalline UTe2PbO8 at its relaxed geometry. Source: Materials Project, functional meta-GGA r2SCAN.

Cell: 7.763 7.033 13.895 Å, 90.00 94.68 90.00°
Fractional positions:
U: 0.051 0.153 0.308
U: 0.051 0.347 0.808
U: 0.949 0.653 0.192
U: 0.949 0.847 0.692
Te: 0.189 0.663 0.423
Te: 0.189 0.837 0.923
Te: 0.353 0.186 0.545
Te: 0.353 0.314 0.045
Te: 0.647 0.686 0.955
Te: 0.647 0.814 0.455
Te: 0.811 0.163 0.077
Te: 0.811 0.337 0.577
Pb: 0.434 0.635 0.676
Pb: 0.434 0.865 0.176
Pb: 0.566 0.135 0.824
Pb: 0.566 0.365 0.324
O: 0.071 0.669 0.819
O: 0.071 0.831 0.319
O: 0.072 0.031 0.847
O: 0.072 0.469 0.347
O: 0.168 0.649 0.148
O: 0.168 0.851 0.648
O: 0.170 0.112 0.454
O: 0.170 0.388 0.954
O: 0.269 0.165 0.260
O: 0.269 0.335 0.760
O: 0.291 0.050 0.032
O: 0.291 0.450 0.532
O: 0.391 0.654 0.359
O: 0.391 0.846 0.859
O: 0.476 0.676 0.043
O: 0.476 0.824 0.543
O: 0.524 0.176 0.457
O: 0.524 0.324 0.957
O: 0.609 0.154 0.141
O: 0.609 0.346 0.641
O: 0.709 0.550 0.468
O: 0.709 0.950 0.968
O: 0.731 0.665 0.240
O: 0.731 0.835 0.740
O: 0.830 0.612 0.046
O: 0.830 0.888 0.546
O: 0.832 0.149 0.352
O: 0.832 0.351 0.852
O: 0.928 0.531 0.653
O: 0.928 0.969 0.153
O: 0.929 0.169 0.681
O: 0.929 0.331 0.181

Calculated values
spin magnetization = 0.00 μB/atom
ρ = 7.278 g/cm³
DFT formation energy = -1.944 eV per atom
SG = P2_1/c, No. 14


3.
Crystalline LiV3Te2O12 at its relaxed geometry. Source: Materials Project, functional meta-GGA r2SCAN.

Cell: 6.184 7.115 10.663 Å, 92.12 93.28 104.34°
Fractional positions:
Li: 0.209 0.239 0.391
Li: 0.791 0.761 0.609
V: 0.340 0.786 0.747
V: 0.383 0.806 0.082
V: 0.386 0.771 0.419
V: 0.614 0.229 0.581
V: 0.617 0.194 0.918
V: 0.660 0.214 0.253
Te: 0.136 0.181 0.712
Te: 0.164 0.221 0.093
Te: 0.836 0.779 0.907
Te: 0.864 0.819 0.288
O: 0.091 0.904 0.710
O: 0.148 0.875 0.383
O: 0.151 0.948 0.095
O: 0.179 0.570 0.744
O: 0.206 0.595 0.076
O: 0.272 0.542 0.407
O: 0.294 0.222 0.566
O: 0.358 0.269 0.961
O: 0.374 0.276 0.234
O: 0.378 0.881 0.907
O: 0.420 0.841 0.582
O: 0.483 0.843 0.246
O: 0.517 0.157 0.754
O: 0.580 0.159 0.418
O: 0.622 0.119 0.093
O: 0.626 0.724 0.766
O: 0.642 0.731 0.039
O: 0.706 0.778 0.434
O: 0.728 0.458 0.593
O: 0.794 0.405 0.924
O: 0.821 0.430 0.256
O: 0.849 0.052 0.905
O: 0.852 0.125 0.617
O: 0.909 0.096 0.290

Calculated values
spin magnetization = 0.00 μB/atom
ρ = 4.448 g/cm³
DFT formation energy = -2.021 eV per atom
SG = P-1, No. 2


4.
Crystalline ThPt at its relaxed geometry. Source: Materials Project, functional meta-GGA r2SCAN.

Cell: 5.984 5.984 4.449 Å, 90.00 90.00 141.71°
Fractional positions:
Th: 0.136 0.864 0.750
Th: 0.864 0.136 0.250
Pt: 0.404 0.596 0.750
Pt: 0.596 0.404 0.250

Calculated values
spin magnetization = 0.00 μB/atom
ρ = 14.367 g/cm³
DFT formation energy = -1.331 eV per atom
SG = Cmcm, No. 63


5.
Crystalline HoNiGe3 at its relaxed geometry. Source: Materials Project, functional meta-GGA r2SCAN.

Cell: 10.912 10.912 4.063 Å, 90.00 90.00 158.61°
Fractional positions:
Ho: 0.169 0.831 0.000
'''
Te: 0.189 0.663 0.423
Te: 0.189 0.837 0.923
Te: 0.353 0.186 0.545
Te: 0.353 0.314 0.045
Te: 0.647 0.686 0.955
Te: 0.647 0.814 0.455
Te: 0.811 0.163 0.077
Te: 0.811 0.337 0.577
Pb: 0.434 0.635 0.676
Pb: 0.434 0.865 0.176
Pb: 0.566 0.135 0.824
Pb: 0.566 0.365 0.324
O: 0.071 0.669 0.819
O: 0.071 0.831 0.319
O: 0.072 0.031 0.847
O: 0.072 0.469 0.347
O: 0.168 0.649 0.148
O: 0.168 0.851 0.648
O: 0.170 0.112 0.454
O: 0.170 0.388 0.954
O: 0.269 0.165 0.260
O: 0.269 0.335 0.760
O: 0.291 0.050 0.032
O: 0.291 0.450 0.532
O: 0.391 0.654 0.359
O: 0.391 0.846 0.859
O: 0.476 0.676 0.043
O: 0.476 0.824 0.543
O: 0.524 0.176 0.457
O: 0.524 0.324 0.957
O: 0.609 0.154 0.141
O: 0.609 0.346 0.641
O: 0.709 0.550 0.468
O: 0.709 0.950 0.968
O: 0.731 0.665 0.240
O: 0.731 0.835 0.740
O: 0.830 0.612 0.046
O: 0.830 0.888 0.546
O: 0.832 0.149 0.352
O: 0.832 0.351 0.852
O: 0.928 0.531 0.653
O: 0.928 0.969 0.153
O: 0.929 0.169 0.681
O: 0.929 0.331 0.181

Calculated values
spin magnetization = 0.00 μB/atom
ρ = 7.278 g/cm³
DFT formation energy = -1.944 eV per atom
SG = P2_1/c, No. 14


3.
Crystalline LiV3Te2O12 at its relaxed geometry. Source: Materials Project, functional meta-GGA r2SCAN.

Cell: 6.184 7.115 10.663 Å, 92.12 93.28 104.34°
Fractional positions:
Li: 0.209 0.239 0.391
Li: 0.791 0.761 0.609
V: 0.340 0.786 0.747
V: 0.383 0.806 0.082
V: 0.386 0.771 0.419
V: 0.614 0.229 0.581
V: 0.617 0.194 0.918
V: 0.660 0.214 0.253
Te: 0.136 0.181 0.712
Te: 0.164 0.221 0.093
Te: 0.836 0.779 0.907
Te: 0.864 0.819 0.288
O: 0.091 0.904 0.710
O: 0.148 0.875 0.383
O: 0.151 0.948 0.095
O: 0.179 0.570 0.744
O: 0.206 0.595 0.076
O: 0.272 0.542 0.407
O: 0.294 0.222 0.566
O: 0.358 0.269 0.961
O: 0.374 0.276 0.234
O: 0.378 0.881 0.907
O: 0.420 0.841 0.582
O: 0.483 0.843 0.246
O: 0.517 0.157 0.754
O: 0.580 0.159 0.418
O: 0.622 0.119 0.093
O: 0.626 0.724 0.766
O: 0.642 0.731 0.039
O: 0.706 0.778 0.434
O: 0.728 0.458 0.593
O: 0.794 0.405 0.924
O: 0.821 0.430 0.256
O: 0.849 0.052 0.905
O: 0.852 0.125 0.617
O: 0.909 0.096 0.290

Calculated values
spin magnetization = 0.00 μB/atom
ρ = 4.448 g/cm³
DFT formation energy = -2.021 eV per atom
SG = P-1, No. 2


4.
Crystalline ThPt at its relaxed geometry. Source: Materials Project, functional meta-GGA r2SCAN.

Cell: 5.984 5.984 4.449 Å, 90.00 90.00 141.71°
Fractional positions:
Th: 0.136 0.864 0.750
Th: 0.864 0.136 0.250
Pt: 0.404 0.596 0.750
Pt: 0.596 0.404 0.250

Calculated values
spin magnetization = 0.00 μB/atom
ρ = 14.367 g/cm³
DFT formation energy = -1.331 eV per atom
SG = Cmcm, No. 63


5.
Crystalline HoNiGe3 at its relaxed geometry. Source: Materials Project, functional meta-GGA r2SCAN.

Cell: 10.912 10.912 4.063 Å, 90.00 90.00 158.61°
Fractional positions:
Ho: 0.169 0.831 0.000